Theory–Practice Gap Assignment NSG/416: Theory–Practice Gap

            The theory chosen in this case scenario is the Watson’s theory of human care. This theory considers human beings to be different from other objects and hence cannot be separated from self, nature and other characteristics that define them in different environments. Although Watson’s theory of human care finds its application in almost all the aspects of nursing profession, its main emphasis is usually on the interpersonal relationships that exist between nurses or clinical officers and the patients. The main focus of Watson’s theory of human care is the central aspect of patient care and its role in the healing process of patients (Yeter et al., 2015).

Define and Discuss Cloud Computing            The research topic chosen to match the theory is the patient-centred care. Patient centered care is defined as the type of care that incorporates patients, family members and guardians in a valuable and meaningful way to realize the best results. Patient centered care involves listening, consulting and involving the patients in all care process decisions that must be made. It can also be considered as the patient care that is respectful and responsive to patient preferences, needs and values while ensuring that patient values are the cornerstone in all the clinical decisions that are made. Patient centered care is based on eight principles: information and education, respect for patient preferences and values, integration and coordination of care, emotional support, access to care, involvement of friends and family members, continuity and transition (Jayadevappa & Chhatre, 2011). Theory–Practice Gap Assignment NSG/416

In line with Watson’s theory of human care and patient centered care, supportive care practice was chosen as the practice guideline. Supportive care practice is the care practice that is aimed at improving the quality of life of patients who are facing chronic or life-threatening conditions. The main goal of supportive care practice is to take care of patients in their early stages of a chronic condition or when the symptoms are at the early stages to prevent them from escalating (Hui et al., 2013).

            Considering the three areas, Supportive care practice, Watson’s theory of caring and patient centered care research; there is a close relationship between them. Watson’s theory of caring and patient centered care research is the pillars of achieving supportive care practice. Their relationship is reciprocal and cyclical (Latham, 2012). Through supportive care practices, research questions in a patient centered care research can be developed. It is also the supportive care practices that formed the foundation for the development of Watson Theory of care. The patient centered care research has been acting as the guiding principle towards supportive care practices and building knowledge to improve Watson’s theory of human care. Theory–Practice Gap Assignment NSG/416

Watson’s theory of human caring has been providing significant trails and guidelines for patient centered care research by pointing out the areas that are fruitful and the meaningful relationships among variables. The theory has also increased the meaningfulness of findings in the study of human care by helping researchers perceive the special considerations for human caring

Inserted here: crystal structures:
____________
Record 1
Density functional theory data (GGA-PBE) for an optimized crystal structure of LiGaSn.

Output
The spin magnetization comes out at 0.00 μB/cell. As for the total energy: -8.89 eV/f.u. The value obtained for the density is 4413 kg/m³.

Cell: 10.9658 10.9658 8.1304 Å, 47.60 47.60 90.00°
Closest atoms and distances in Å follow each position.
Sites, in units of the cell vectors:
Sn: 0.3554 0.0000 0.0000  2 Ga 2.88, 2 Li 2.93, 1 Sn 3.17
Sn: 0.6446 0.0000 0.0000  2 Ga 2.88, 2 Li 2.93, 1 Sn 3.17
Sn: 0.0000 0.3554 0.0000  2 Ga 2.88, 2 Li 2.93, 1 Sn 3.17
Sn: 0.0000 0.6446 0.0000  2 Ga 2.88, 2 Li 2.93, 1 Sn 3.17
Ga: 0.8771 0.8771 0.0000  2 Ga 2.69, 2 Sn 2.88, 4 Li 2.94
Ga: 0.1229 0.1229 0.0000  2 Ga 2.69, 2 Sn 2.88, 4 Li 2.94
Ga: 0.1229 0.8771 0.0000  2 Ga 2.69, 2 Sn 2.88, 4 Li 2.94
Ga: 0.8771 0.1229 0.0000  2 Ga 2.69, 2 Sn 2.88, 4 Li 2.94
Li: 0.7077 0.5000 0.0000  2 Sn 2.93, 4 Ga 2.94, 2 Li 3.22
Li: 0.2923 0.5000 0.0000  2 Sn 2.93, 4 Ga 2.94, 2 Li 3.22
Li: 0.5000 0.7077 0.0000  2 Sn 2.93, 4 Ga 2.94, 2 Li 3.22
Li: 0.5000 0.2923 0.0000  2 Sn 2.93, 4 Ga 2.94, 2 Li 3.22

Record 2
Density functional theory data (GGA-PBE) for an optimized crystal structure of K3Te5.

Output
The spin magnetization comes out at 0.00 μB/cell. Its energy relative to the lowest polymorph listed for this composition is 0.00 kcal/mol of atoms. For the raw formation energy, the calculation gives -57.9 kJ per mole of atoms. The value obtained for the density is 3861 kg/m³.

Cell: 6.9623 9.6078 10.9853 Å, 83.41 71.52 68.76°
Closest atoms and distances in Å follow each position.
Sites, in units of the cell vectors:
K: 0.9407 0.3769 0.6816  9 Te 3.60-3.96
K: 0.6823 0.3769 0.3184  9 Te 3.60-3.96
K: 0.8723 0.8769 0.8184  9 Te 3.60-3.96
K: 0.2507 0.8769 0.1816  9 Te 3.60-3.96
K: 0.5472 0.9057 0.5000  10 Te 3.67-4.08
K: 0.2972 0.4057 0.0000  10 Te 3.67-4.08
Te: 0.4449 0.7117 0.8087  3 Te 2.86-3.18
Te: 0.8435 0.7117 0.1913  3 Te 2.86-3.18
Te: 0.5035 0.2117 0.6913  3 Te 2.86-3.18
Te: 0.2848 0.2117 0.3087  3 Te 2.86-3.18
Te: 0.6964 0.0599 0.1330  2 Te 2.86-3.18
Te: 0.2437 0.0599 0.8670  2 Te 2.86-3.18
Te: 0.0794 0.5599 0.3670  2 Te 2.86-3.18
Te: 0.3607 0.5599 0.6330  2 Te 2.86-3.18
Te: 0.9598 0.0803 0.5000  2 Te 3.09
Te: 0.7098 0.5803 0.0000  2 Te 3.09

Record 3
Density functional theory data (GGA-PBE) for an optimized crystal structure of CaTbTm4Se8.

Output
The spin magnetization comes out at 0.00 μB/cell. For the raw formation energy, the calculation gives -171.7 kJ per mole of atoms. The value obtained for the density is 5998 kg/m³.

Cell: 8.3724 8.3724 8.4001 Å, 60.11 60.11 60.00°
Closest atoms and distances in Å follow each position.
Sites, in units of the cell vectors:
Ca: 0.3743 0.3743 0.8772  4 Se 2.78-2.79
Tb: 0.0021 0.0021 0.9937  6 Se 2.86-2.94
Tm: 0.6253 0.6253 0.1240  4 Se 2.72-2.74
Tm: 0.0020 0.4937 0.5022  6 Se 2.81-2.90
Tm: 0.4937 0.0020 0.5022  6 Se 2.81-2.90
Tm: 0.0020 0.0020 0.5022  6 Se 2.81-2.90
Se: 0.2424 0.7803 0.7348  1 Ca 2.78, 2 Tm 2.81, 1 Tb 2.86
____________
So much for the crystal structures:

There are two main identifiable gaps between Watson’s theory of human care and the supportive care practices. One of the gaps is that the theory lacks relevance in the modern day supportive care practices. For instance, Watson’s theory is impractical in the support of acuity care illness which is complex in nature. This is because the theory emphasizes on the “spiritual” aspect of care and ignores the physical entities of an individual. The second gap is the level of care tabled by Watson’s theory; it is impractical where there is high acuity of illness because the advanced technology limits the time spent with the patient. Theory–Practice Gap Assignment NSG/416

            There is a challenge when one of the three aspects (Watson’s theory of human care, patient-centred care research and supportive care) is lacking. For instance, the absence of Watson’s theory of human care would make it a challenge to design patient-centred care research questions and guide the selection of relevant data. Therefore an error margin of patient-centred research that does not use Watson’s theory should be big.


Hui, D., De La Cruz, M., Mori, M., Parsons, H. A., Kwon, J. H., Torres-Vigil, I., … & Kang, D. H.           (2013). Concepts and definitions for “supportive care,” best supportive care,” palliative care,”     and “hospice care” in the published literature, dictionaries, and textbooks. Supportive Care in        Cancer21(3), 659-685.

== Misplaced data records ==
- - -
No. 1
Material: LaSiPb2
Method: DFT, PBE
State: optimized geometry

Space group: No. 139
Calculated density, Mg/m³: 8.73
Total moment, μB per formula unit: 0.00
VASP energy, eV/atom: -4.652
Fermi-level density of states, states/eV per atom: 0.7178
Formation energy (no corrections), eV per atom: -0.211

Lattice parameters (Å, degrees): 6.321 6.321 6.321 138.29 138.29 60.45
Atoms (fractional coordinates):
1 La 0.000 0.000 0.000
2 Si 0.500 0.500 0.000
3 Pb 0.250 0.750 0.500
4 Pb 0.750 0.250 0.500

---

No. 2
Material: LaSiPb2
Method: DFT, PBE
State: optimized geometry

Space group: No. 122
Calculated density, Mg/m³: 8.20
Total moment, μB per formula unit: 0.00
VASP energy, eV/atom: -4.562
Fermi-level density of states, states/eV per atom: 0.8053
Formation energy (no corrections), eV per atom: -0.120
- - -

Jayadevappa, R., & Chhatre, S. (2011). Patient-centred care-a a conceptual model and review of the state of the art. The Open Health Services and Policy Journal4(1).

Latham, G. P. (2012). Work motivation: History, theory, research, and practice. Sage.

Yeter Durgun Ozan Ph.D., B. S. N. (2015). Implementation of Watson’s theory of human caring: A case             study. International Journal of Caring Sciences8(1), 25.